Request >
Please give back everything below character by character.

Data >
┌──
(1)
This record from Alexandria describes a geometry-optimized LaNdAlGa structure. The functional is PBE.

Computed properties:
* distance to the lowest polymorph of the same formula: 0.000 eV/atom
* ΔE_f: -0.4763 eV per atom
* magnetization: 0.000 μB per atom

Geometry as POSCAR:
```
LaNdAlGa
1.0
4.538 0.000 0.000
0.000 4.259 0.000
-2.269 0.000 5.766
Ga Al Nd La
1 1 1 1
Direct
0.567 0.500 0.133 Ga
0.433 0.000 0.866 Al
0.858 0.500 0.716 Nd
0.142 0.000 0.284 La
```


(2)
This record from Alexandria describes a geometry-optimized LaNd2Al2Ga2 structure. The functional is PBE.

Computed properties:
* ΔE_f: -0.4321 eV per atom
* magnetization: 0.076 μB per atom

Geometry as POSCAR:
```
LaNd2Al2Ga2
1.0
-1.918 3.838 -0.599
-3.462 0.311 -2.585
-8.668 -0.655 7.900
Nd Ga Al La
2 2 2 1
Direct
0.125 0.125 0.624 Nd
0.875 0.875 0.376 Nd
0.737 0.737 0.790 Ga
0.263 0.263 0.210 Ga
0.395 0.395 0.814 Al
0.605 0.605 0.186 Al
0.000 0.000 0.000 La
```


(3)
This record from Alexandria describes a geometry-optimized LaNdAl2Ga2 structure. The functional is PBE.

Computed properties:
* ΔE_f: -0.5997 eV per atom
* magnetization: 0.000 μB per atom

Geometry as POSCAR:
```
LaNdAl2Ga2
1.0
4.355 0.000 0.000
-2.178 3.772 0.000
0.000 0.000 8.752
Nd Ga Al La
1 2 2 1
Direct
0.000 0.000 0.500 Nd
0.667 0.333 0.745 Ga
0.333 0.667 0.255 Ga
0.333 0.667 0.745 Al
0.667 0.333 0.255 Al
0.000 0.000 0.000 La
```


(4)
This record from Alexandria describes a geometry-optimized LaAlGa2Ni structure. The functional is PBE.

Computed properties:
* ΔE_f: -0.4100 eV per atom
* magnetization: 0.000 μB per atom

Geometry as POSCAR:
```
LaAlGa2Ni
1.0
4.651 0.000 0.000
0.000 4.651 0.000
0.000 0.000 4.620
Ga La Ni Al
2 1 1 1
Direct
0.500 0.000 0.000 Ga
0.000 0.500 0.000 Ga
0.500 0.500 0.500 La
0.000 0.000 0.000 Ni
0.000 0.000 0.500 Al
```


(5)
This record from Alexandria describes a geometry-optimized La2AlGa3Ni4 structure. The functional is PBE.

Computed properties:
* ΔE_f: -0.5593 eV per atom
* magnetization: 0.000 μB per atom

Geometry as POSCAR:
```
La2AlGa3Ni4
1.0
4.263 0.000 0.000
0.000 4.263 0.000
0.000 0.000 9.748
Ni Ga La Al
4 3 2 1
Direct
0.000 0.500 0.370 Ni
0.000 0.000 0.000 Ni
0.500 0.500 0.000 Ni
0.500 0.000 0.630 Ni
0.500 0.000 0.881 Ga
0.000 0.000 0.500 Ga
0.000 0.500 0.119 Ga
0.000 0.500 0.757 La
0.500 0.000 0.243 La
0.500 0.500 0.500 Al
```


(6)
This record from Alexandria describes a geometry-optimized LaAlGa2Ni5 structure. The functional is PBE.

Computed properties:
* ΔE_f: -0.0989 eV per atom
* magnetization: 0.000 μB per atom

Geometry as POSCAR:
```
LaAlGa2Ni5
1.0
4.520 0.000 0.000
0.000 4.520 0.000
0.000 0.000 7.089
Ni Ga Al La
5 2 1 1
Direct
0.000 0.500 0.183 Ni
0.000 0.500 0.817 Ni
0.500 0.500 0.500 Ni
0.500 0.000 0.183 Ni
0.500 0.000 0.817 Ni
0.500 0.500 0.180 Ga
0.500 0.500 0.820 Ga
0.000 0.000 0.000 Al
0.000 0.000 0.500 La
```


(7)
This record from Alexandria describes a geometry-optimized La2AlGa3Ni12 structure. The functional is PBE.

Computed properties:
* ΔE_f: -0.1531 eV per atom
* magnetization: 0.000 μB per atom

Geometry as POSCAR:
```
La2AlGa3Ni12
1.0
-5.225 1.491 3.376
1.318 -3.714 5.038
2.725 4.562 3.560
Ni Ga La Al
12 3 2 1
Direct
0.394 0.394 0.895 Ni
0.606 0.105 0.606 Ni
0.895 0.394 0.394 Ni
0.722 0.191 0.191 Ni
0.105 0.606 0.606 Ni
0.278 0.809 0.809 Ni
0.606 0.606 0.105 Ni
0.809 0.809 0.278 Ni
0.191 0.722 0.191 Ni
0.191 0.191 0.722 Ni
0.394 0.895 0.394 Ni
0.809 0.278 0.809 Ni
0.000 0.000 0.500 Ga
0.500 0.000 0.000 Ga
0.000 0.500 0.000 Ga
0.348 0.348 0.348 La
0.652 0.652 0.652 La
0.000 0.000 0.000 Al
```


(8)
This record from Alexandria describes a geometry-optimized LaAl2GaNi2 structure. The functional is PBE.

Computed properties:
* ΔE_f: -0.3485 eV per atom
* magnetization: 0.000 μB per atom

Geometry as POSCAR:
```
LaAl2GaNi2
1.0
4.405 0.000 0.000
0.000 4.405 0.000
0.000 0.000 5.797
Al Ga La Ni
2 1 1 2
Direct
0.500 0.500 0.758 Al
0.500 0.500 0.242 Al
0.000 0.000 0.000 Ga
0.000 0.000 0.500 La
0.000 0.500 0.000 Ni
└──

Solution >
(1)
This record from Alexandria describes a geometry-optimized LaNdAlGa structure. The functional is PBE.

Computed properties:
* distance to the lowest polymorph of the same formula: 0.000 eV/atom
* ΔE_f: -0.4763 eV per atom
* magnetization: 0.000 μB per atom

Geometry as POSCAR:
```
LaNdAlGa
1.0
4.538 0.000 0.000
0.000 4.259 0.000
-2.269 0.000 5.766
Ga Al Nd La
1 1 1 1
Direct
0.567 0.500 0.133 Ga
0.433 0.000 0.866 Al
0.858 0.500 0.716 Nd
0.142 0.000 0.284 La
```


(2)
This record from Alexandria describes a geometry-optimized LaNd2Al2Ga2 structure. The functional is PBE.

Computed properties:
* ΔE_f: -0.4321 eV per atom
* magnetization: 0.076 μB per atom

Geometry as POSCAR:
```
LaNd2Al2Ga2
1.0
-1.918 3.838 -0.599
-3.462 0.311 -2.585
-8.668 -0.655 7.900
Nd Ga Al La
2 2 2 1
Direct
0.125 0.125 0.624 Nd
0.875 0.875 0.376 Nd
0.737 0.737 0.790 Ga
0.263 0.263 0.210 Ga
0.395 0.395 0.814 Al
0.605 0.605 0.186 Al
0.000 0.000 0.000 La
```


(3)
This record from Alexandria describes a geometry-optimized LaNdAl2Ga2 structure. The functional is PBE.

Computed properties:
* ΔE_f: -0.5997 eV per atom
* magnetization: 0.000 μB per atom

Geometry as POSCAR:
```
LaNdAl2Ga2
1.0
4.355 0.000 0.000
-2.178 3.772 0.000
0.000 0.000 8.752
Nd Ga Al La
1 2 2 1
Direct
0.000 0.000 0.500 Nd
0.667 0.333 0.745 Ga
0.333 0.667 0.255 Ga
0.333 0.667 0.745 Al
0.667 0.333 0.255 Al
0.000 0.000 0.000 La
```


(4)
This record from Alexandria describes a geometry-optimized LaAlGa2Ni structure. The functional is PBE.

Computed properties:
* ΔE_f: -0.4100 eV per atom
* magnetization: 0.000 μB per atom

Geometry as POSCAR:
```
LaAlGa2Ni
1.0
4.651 0.000 0.000
0.000 4.651 0.000
0.000 0.000 4.620
Ga La Ni Al
2 1 1 1
Direct
0.500 0.000 0.000 Ga
0.000 0.500 0.000 Ga
0.500 0.500 0.500 La
0.000 0.000 0.000 Ni
0.000 0.000 0.500 Al
```


(5)
This record from Alexandria describes a geometry-optimized La2AlGa3Ni4 structure. The functional is PBE.

Computed properties:
* ΔE_f: -0.5593 eV per atom
* magnetization: 0.000 μB per atom

Geometry as POSCAR:
```
La2AlGa3Ni4
1.0
4.263 0.000 0.000
0.000 4.263 0.000
0.000 0.000 9.748
Ni Ga La Al
4 3 2 1
Direct
0.000 0.500 0.370 Ni
0.000 0.000 0.000 Ni
0.500 0.500 0.000 Ni
0.500 0.000 0.630 Ni
0.500 0.000 0.881 Ga
0.000 0.000 0.500 Ga
0.000 0.500 0.119 Ga
0.000 0.500 0.757 La
0.500 0.000 0.243 La
0.500 0.500 0.500 Al
```


(6)
This record from Alexandria describes a geometry-optimized LaAlGa2Ni5 structure. The functional is PBE.

Computed properties:
* ΔE_f: -0.0989 eV per atom
* magnetization: 0.000 μB per atom

Geometry as POSCAR:
```
LaAlGa2Ni5
1.0
4.520 0.000 0.000
0.000 4.520 0.000
0.000 0.000 7.089
Ni Ga Al La
5 2 1 1
Direct
0.000 0.500 0.183 Ni
0.000 0.500 0.817 Ni
0.500 0.500 0.500 Ni
0.500 0.000 0.183 Ni
0.500 0.000 0.817 Ni
0.500 0.500 0.180 Ga
0.500 0.500 0.820 Ga
0.000 0.000 0.000 Al
0.000 0.000 0.500 La
```


(7)
This record from Alexandria describes a geometry-optimized La2AlGa3Ni12 structure. The functional is PBE.

Computed properties:
* ΔE_f: -0.1531 eV per atom
* magnetization: 0.000 μB per atom

Geometry as POSCAR:
```
La2AlGa3Ni12
1.0
-5.225 1.491 3.376
1.318 -3.714 5.038
2.725 4.562 3.560
Ni Ga La Al
12 3 2 1
Direct
0.394 0.394 0.895 Ni
0.606 0.105 0.606 Ni
0.895 0.394 0.394 Ni
0.722 0.191 0.191 Ni
0.105 0.606 0.606 Ni
0.278 0.809 0.809 Ni
0.606 0.606 0.105 Ni
0.809 0.809 0.278 Ni
0.191 0.722 0.191 Ni
0.191 0.191 0.722 Ni
0.394 0.895 0.394 Ni
0.809 0.278 0.809 Ni
0.000 0.000 0.500 Ga
0.500 0.000 0.000 Ga
0.000 0.500 0.000 Ga
0.348 0.348 0.348 La
0.652 0.652 0.652 La
0.000 0.000 0.000 Al
```


(8)
This record from Alexandria describes a geometry-optimized LaAl2GaNi2 structure. The functional is PBE.

Computed properties:
* ΔE_f: -0.3485 eV per atom
* magnetization: 0.000 μB per atom

Geometry as POSCAR:
```
LaAl2GaNi2
1.0
4.405 0.000 0.000
0.000 4.405 0.000
0.000 0.000 5.797
Al Ga La Ni
2 1 1 2
Direct
0.500 0.500 0.758 Al
0.500 0.500 0.242 Al
0.000 0.000 0.000 Ga
0.000 0.000 0.500 La
0.000 0.500 0.000 Ni